### Data
+++
Density functional theory data (PBE) for crystalline Zr2CdAu2 at its relaxed geometry.

Results
Its final energy is -24.95 eV per cell. For the calculated volume, the calculation gives 117 Å³ per cell. The value obtained for the energy of formation is -0.08 eV per atom. The calculation puts the density of states at the Fermi level at 4.0 states/eV/cell.

The structure in POSCAR format:
```
Zr2CdAu2
1.0
-2.175 2.175 6.159
2.175 -2.175 6.159
2.175 2.175 -6.159
Zr Cd Au
2 1 2
Direct
0.250 0.750 0.500 Zr
0.750 0.250 0.500 Zr
0.000 0.000 0.000 Cd
0.394 0.394 0.000 Au
0.606 0.606 0.000 Au
```

=====

Density functional theory data (PBE) for crystalline ZrCdAu3 at its relaxed geometry.

Results
Its final energy is -42.70 eV per cell. For the calculated volume, the calculation gives 193 Å³ per cell. The value obtained for the energy of formation is -0.41 eV per atom. The calculation puts the energy above the most stable polymorph in this dataset at 0.0 meV per atom. The calculation puts the density of states at the Fermi level at 2.1 states/eV/cell.

The structure in POSCAR format:
```
ZrCdAu3
1.0
2.524 -7.557 0.000
2.524 7.557 0.000
0.000 0.000 5.048
Zr Cd Au
2 2 6
Direct
0.145 0.855 0.750 Zr
0.855 0.145 0.250 Zr
0.352 0.648 0.750 Cd
0.648 0.352 0.250 Cd
0.048 0.952 0.250 Au
0.249 0.751 0.250 Au
0.449 0.551 0.250 Au
0.551 0.449 0.750 Au
0.751 0.249 0.750 Au
0.952 0.048 0.750 Au
```

=====

Density functional theory data (PBE) for crystalline ZrCd3Au at its relaxed geometry.

Results
Its final energy is -9.36 eV per cell. For the calculated volume, the calculation gives 179 Å³ per cell. The value obtained for the energy of formation is 1.04 eV per atom. The calculation puts the energy above the most stable polymorph in this dataset at 1215.6 meV per atom. The calculation puts the density of states at the Fermi level at 5.9 states/eV/cell.

The structure in POSCAR format:
```
ZrCd3Au
1.0
5.633 0.000 0.000
0.000 5.633 0.000
0.000 0.000 5.633
Zr Cd Au
1 3 1
Direct
0.000 0.000 0.000 Zr
0.000 0.000 0.500 Cd
0.000 0.500 0.000 Cd
0.500 0.000 0.000 Cd
0.500 0.500 0.500 Au
```

* * * * *

# RbNdEr4Se8 PBE-GGA optimized geometry
data_RbNdEr4Se8
_space_group_name_H-M_alt 'R 3 m'
_space_group_IT_number 160
_space_group_name_Hall 'R 3 -2"'
_cell_length_a 8.5518
_cell_length_b 8.5518
_cell_length_c 21.5868
_cell_angle_alpha 90.00
_cell_angle_beta 90.00
_cell_angle_gamma 120.00
loop_
_atom_site_label
_atom_site_fract_x
_atom_site_fract_y
_atom_site_fract_z
_atom_site_occupancy
Rb1 0.0000 0.0000 0.0000 1
Nd1 0.0000 0.0000 0.3629 1
Er1 0.0000 0.0000 0.7428 1
Er2 0.0113 0.5057 0.8703 1
Se1 0.0000 0.0000 0.1389 1
Se2 0.0000 0.0000 0.6115 1
Se3 0.0144 0.5072 0.1227 1
Se4 0.1865 0.3730 0.9418 1
# Formation energy (no corrections)   -1705 meV per atom
+++

### Work order
The reader should type out the material further up word for word.

### Here it is
Density functional theory data (PBE) for crystalline Zr2CdAu2 at its relaxed geometry.

Results
Its final energy is -24.95 eV per cell. For the calculated volume, the calculation gives 117 Å³ per cell. The value obtained for the energy of formation is -0.08 eV per atom. The calculation puts the density of states at the Fermi level at 4.0 states/eV/cell.

The structure in POSCAR format:
```
Zr2CdAu2
1.0
-2.175 2.175 6.159
2.175 -2.175 6.159
2.175 2.175 -6.159
Zr Cd Au
2 1 2
Direct
0.250 0.750 0.500 Zr
0.750 0.250 0.500 Zr
0.000 0.000 0.000 Cd
0.394 0.394 0.000 Au
0.606 0.606 0.000 Au
```

=====

Density functional theory data (PBE) for crystalline ZrCdAu3 at its relaxed geometry.

Results
Its final energy is -42.70 eV per cell. For the calculated volume, the calculation gives 193 Å³ per cell. The value obtained for the energy of formation is -0.41 eV per atom. The calculation puts the energy above the most stable polymorph in this dataset at 0.0 meV per atom. The calculation puts the density of states at the Fermi level at 2.1 states/eV/cell.

The structure in POSCAR format:
```
ZrCdAu3
1.0
2.524 -7.557 0.000
2.524 7.557 0.000
0.000 0.000 5.048
Zr Cd Au
2 2 6
Direct
0.145 0.855 0.750 Zr
0.855 0.145 0.250 Zr
0.352 0.648 0.750 Cd
0.648 0.352 0.250 Cd
0.048 0.952 0.250 Au
0.249 0.751 0.250 Au
0.449 0.551 0.250 Au
0.551 0.449 0.750 Au
0.751 0.249 0.750 Au
0.952 0.048 0.750 Au
```

=====

Density functional theory data (PBE) for crystalline ZrCd3Au at its relaxed geometry.

Results
Its final energy is -9.36 eV per cell. For the calculated volume, the calculation gives 179 Å³ per cell. The value obtained for the energy of formation is 1.04 eV per atom. The calculation puts the energy above the most stable polymorph in this dataset at 1215.6 meV per atom. The calculation puts the density of states at the Fermi level at 5.9 states/eV/cell.

The structure in POSCAR format:
```
ZrCd3Au
1.0
5.633 0.000 0.000
0.000 5.633 0.000
0.000 0.000 5.633
Zr Cd Au
1 3 1
Direct
0.000 0.000 0.000 Zr
0.000 0.000 0.500 Cd
0.000 0.500 0.000 Cd
0.500 0.000 0.000 Cd
0.500 0.500 0.500 Au
```

* * * * *

# RbNdEr4Se8 PBE-GGA optimized geometry
data_RbNdEr4Se8
_space_group_name_H-M_alt 'R 3 m'
_space_group_IT_number 160
_space_group_name_Hall 'R 3 -2"'
_cell_length_a 8.5518
_cell_length_b 8.5518
_cell_length_c 21.5868
_cell_angle_alpha 90.00
_cell_angle_beta 90.00
_cell_angle_gamma 120.00
loop_
_atom_site_label
_atom_site_fract_x
_atom_site_fract_y
_atom_site_fract_z
_atom_site_occupancy
Rb1 0.0000 0.0000 0.0000 1
Nd1 0.0000 0.0000 0.3629 1
Er1 0.0000 0.0000 0.7428 1
Er2 0.0113 0.5057 0.8703 1
Se1 0.0000 0.0000 0.1389 1
Se2 0.0000 0.0000 0.6115 1
Se3 0.0144 0.5072 0.1227 1
Se4 0.1865 0.3730 0.9418 1
# Formation energy (no corrections)   -1705 meV per atom